• Contents:
/*
107
Properties=species:S:1:pos:R:3:forces:R:3 method="wB97M-V/def2-TZVPD" mol_weight_da=677.87 homo_energy_ev=-11.5 charge=+1
C -6.945940 2.132662 -0.724843 1.48 -0.79 -6.90
C -6.497773 2.068957 -1.972956 -0.72 -0.19 6.30
C -5.545611 1.909494 -3.254163 -1.57 1.00 0.63
C -4.867729 3.357165 -3.622044 2.06 -1.97 -0.12
C -3.736944 2.866818 -4.715816 1.09 1.36 -0.63
N -2.619342 3.597709 -4.667871 -2.57 -1.37 0.82
C -2.832699 4.664714 -3.635148 -0.71 2.42 0.76
C -1.612787 5.612175 -3.173321 0.05 0.40 0.00
C -1.225531 6.780621 -4.239804 0.58 0.15 -0.44
C -1.452738 6.367687 -5.781987 -0.12 -1.17 0.55
N -0.959829 7.369811 -6.783790 -1.49 -1.00 -0.37
C -3.793709 3.974455 -2.534865 -0.37 -0.01 -0.54
C -3.174650 2.790937 -1.631887 0.56 0.42 0.18
C -1.923725 3.216724 -0.703658 -0.11 -1.11 0.24
C -1.300860 1.810555 -0.110179 -0.73 0.71 0.26
C -1.339740 1.753065 1.503778 1.14 -0.28 -1.18
C -0.423583 0.457576 1.941403 -0.96 0.83 0.58
C -1.288513 -0.508915 2.917569 0.77 1.25 0.63
C -0.284708 -1.109515 4.033679 -0.90 -0.96 1.10
C -0.105348 -2.721910 4.005008 0.54 -0.19 -0.02
C -0.174384 -3.392502 2.539907 0.35 -0.83 0.48
C 1.029550 -2.964883 1.539219 -1.38 -1.13 -1.31
C 1.646241 -4.345992 0.908141 0.88 0.52 0.77
C 2.655842 -4.097649 -0.326255 -0.37 -1.19 -0.07
C 2.068194 -3.172520 -1.513684 1.46 -0.81 -0.30
C 3.025781 -3.444841 -2.822102 0.15 0.11 0.32
C 4.407291 -2.596806 -2.776974 -0.01 0.01 -0.72
C 4.205418 -0.990392 -2.835730 0.37 -0.45 -0.53
C 3.976199 -0.493984 -4.382869 0.15 0.36 0.79
C 4.898503 0.820336 -4.645331 -0.64 -0.02 -1.74
C 4.093565 1.928984 -5.556673 0.20 0.68 1.30
C 4.274901 3.377847 -4.807197 0.10 -0.69 -0.63
H -7.620176 2.044853 0.203187 1.53 0.35 -2.01
H -6.210986 1.590424 -4.145230 1.04 0.54 1.46
H -4.728089 1.094954 -3.133621 -1.53 1.47 0.22
H -5.592990 4.173187 -4.000783 1.18 -1.53 0.31
H -3.817130 1.998181 -5.472554 0.06 1.48 1.37
H -1.740262 3.496217 -5.220522 -1.14 -0.13 0.51
H -3.574155 5.377351 -4.186579 1.32 -0.91 1.00
H -0.650929 5.036928 -2.915008 -1.63 0.65 -0.42
H -1.956246 6.164188 -2.203863 0.55 -1.28 -1.67
H -0.081443 6.966389 -4.102982 -2.13 -0.11 -0.30
H -1.777019 7.780254 -4.022277 0.87 -1.82 -0.29
H -2.567106 6.123735 -5.992389 1.59 0.27 0.56
H -0.866265 5.372693 -5.949259 -0.83 1.63 0.21
H -0.819172 6.812582 -7.660008 0.06 0.85 0.94
H -1.798326 7.953178 -7.018666 1.19 -0.37 0.29
H -4.238960 4.861436 -1.920849 0.65 -1.85 -0.99
H -2.814235 1.923824 -2.306606 -0.57 1.39 0.89
H -3.975028 2.341039 -0.915261 1.22 0.92 -1.46
H -1.054307 3.721163 -1.259561 -1.66 -0.48 0.72
H -2.318731 3.893435 0.156072 0.87 -1.10 -1.50
H -1.942021 0.935698 -0.527203 1.25 1.31 0.68
H -0.209931 1.703546 -0.492495 -1.88 0.08 0.75
H -0.882700 2.746621 1.884105 -0.66 -1.69 -0.45
H -2.410398 1.690087 1.916280 1.56 -0.02 -0.79
H 0.017848 -0.084924 1.018118 -0.85 0.87 1.55
H 0.445196 0.893778 2.558058 -1.24 -0.89 -0.99
H -1.934379 -1.285751 2.372397 1.24 1.07 0.74
H -2.037050 0.194203 3.474582 1.31 -1.29 -0.99
H 0.767865 -0.642754 4.044427 -1.78 -0.49 -0.40
H -0.755810 -0.851073 5.070938 1.01 -0.47 -1.78
H -0.834234 -3.261950 4.736845 1.12 1.07 -1.44
H 0.963622 -2.939010 4.420839 -1.88 0.25 -0.69
H -0.056783 -4.543799 2.705157 -0.28 2.00 -0.18
H -1.206386 -3.277465 2.012451 1.81 0.00 1.02
H 0.515056 -2.435589 0.632812 1.18 -0.51 1.68
H 1.832426 -2.294074 2.012846 -1.21 -1.07 -0.69
H 2.246167 -4.848117 1.770649 -0.98 0.70 -1.47
H 0.815541 -5.107443 0.626164 1.22 1.58 0.33
H 3.703681 -3.756257 0.060673 -2.01 -0.23 -0.76
H 2.852160 -5.147664 -0.801420 -0.31 1.79 0.87
H 2.137803 -2.079340 -1.167398 -0.35 -1.55 -0.78
H 0.994741 -3.460069 -1.822469 1.59 0.47 0.85
H 3.337052 -4.568520 -2.870207 -0.76 1.92 0.21
H 2.417850 -3.248468 -3.792148 1.19 -0.04 1.54
H 5.001498 -2.877884 -3.743278 -0.94 0.47 1.73
H 5.102723 -2.910429 -1.895133 -1.54 0.53 -1.36
H 3.320329 -0.607314 -2.204127 1.42 -0.76 -0.83
H 5.175422 -0.514479 -2.406883 -1.70 -0.70 -0.83
H 2.860452 -0.207002 -4.545879 1.90 -0.46 0.36
H 4.188154 -1.359055 -5.125684 -0.15 1.53 1.25
*/
• Brief:
It remains to give back the listing further up verbatim.
• Outcome:
107
Properties=species:S:1:pos:R:3:forces:R:3 method="wB97M-V/def2-TZVPD" mol_weight_da=677.87 homo_energy_ev=-11.5 charge=+1
C -6.945940 2.132662 -0.724843 1.48 -0.79 -6.90
C -6.497773 2.068957 -1.972956 -0.72 -0.19 6.30
C -5.545611 1.909494 -3.254163 -1.57 1.00 0.63
C -4.867729 3.357165 -3.622044 2.06 -1.97 -0.12
C -3.736944 2.866818 -4.715816 1.09 1.36 -0.63
N -2.619342 3.597709 -4.667871 -2.57 -1.37 0.82
C -2.832699 4.664714 -3.635148 -0.71 2.42 0.76
C -1.612787 5.612175 -3.173321 0.05 0.40 0.00
C -1.225531 6.780621 -4.239804 0.58 0.15 -0.44
C -1.452738 6.367687 -5.781987 -0.12 -1.17 0.55
N -0.959829 7.369811 -6.783790 -1.49 -1.00 -0.37
C -3.793709 3.974455 -2.534865 -0.37 -0.01 -0.54
C -3.174650 2.790937 -1.631887 0.56 0.42 0.18
C -1.923725 3.216724 -0.703658 -0.11 -1.11 0.24
C -1.300860 1.810555 -0.110179 -0.73 0.71 0.26
C -1.339740 1.753065 1.503778 1.14 -0.28 -1.18
C -0.423583 0.457576 1.941403 -0.96 0.83 0.58
C -1.288513 -0.508915 2.917569 0.77 1.25 0.63
C -0.284708 -1.109515 4.033679 -0.90 -0.96 1.10
C -0.105348 -2.721910 4.005008 0.54 -0.19 -0.02
C -0.174384 -3.392502 2.539907 0.35 -0.83 0.48
C 1.029550 -2.964883 1.539219 -1.38 -1.13 -1.31
C 1.646241 -4.345992 0.908141 0.88 0.52 0.77
C 2.655842 -4.097649 -0.326255 -0.37 -1.19 -0.07
C 2.068194 -3.172520 -1.513684 1.46 -0.81 -0.30
C 3.025781 -3.444841 -2.822102 0.15 0.11 0.32
C 4.407291 -2.596806 -2.776974 -0.01 0.01 -0.72
C 4.205418 -0.990392 -2.835730 0.37 -0.45 -0.53
C 3.976199 -0.493984 -4.382869 0.15 0.36 0.79
C 4.898503 0.820336 -4.645331 -0.64 -0.02 -1.74
C 4.093565 1.928984 -5.556673 0.20 0.68 1.30
C 4.274901 3.377847 -4.807197 0.10 -0.69 -0.63
H -7.620176 2.044853 0.203187 1.53 0.35 -2.01
H -6.210986 1.590424 -4.145230 1.04 0.54 1.46
H -4.728089 1.094954 -3.133621 -1.53 1.47 0.22
H -5.592990 4.173187 -4.000783 1.18 -1.53 0.31
H -3.817130 1.998181 -5.472554 0.06 1.48 1.37
H -1.740262 3.496217 -5.220522 -1.14 -0.13 0.51
H -3.574155 5.377351 -4.186579 1.32 -0.91 1.00
H -0.650929 5.036928 -2.915008 -1.63 0.65 -0.42
H -1.956246 6.164188 -2.203863 0.55 -1.28 -1.67
H -0.081443 6.966389 -4.102982 -2.13 -0.11 -0.30
H -1.777019 7.780254 -4.022277 0.87 -1.82 -0.29
H -2.567106 6.123735 -5.992389 1.59 0.27 0.56
H -0.866265 5.372693 -5.949259 -0.83 1.63 0.21
H -0.819172 6.812582 -7.660008 0.06 0.85 0.94
H -1.798326 7.953178 -7.018666 1.19 -0.37 0.29
H -4.238960 4.861436 -1.920849 0.65 -1.85 -0.99
H -2.814235 1.923824 -2.306606 -0.57 1.39 0.89
H -3.975028 2.341039 -0.915261 1.22 0.92 -1.46
H -1.054307 3.721163 -1.259561 -1.66 -0.48 0.72
H -2.318731 3.893435 0.156072 0.87 -1.10 -1.50
H -1.942021 0.935698 -0.527203 1.25 1.31 0.68
H -0.209931 1.703546 -0.492495 -1.88 0.08 0.75
H -0.882700 2.746621 1.884105 -0.66 -1.69 -0.45
H -2.410398 1.690087 1.916280 1.56 -0.02 -0.79
H 0.017848 -0.084924 1.018118 -0.85 0.87 1.55
H 0.445196 0.893778 2.558058 -1.24 -0.89 -0.99
H -1.934379 -1.285751 2.372397 1.24 1.07 0.74
H -2.037050 0.194203 3.474582 1.31 -1.29 -0.99
H 0.767865 -0.642754 4.044427 -1.78 -0.49 -0.40
H -0.755810 -0.851073 5.070938 1.01 -0.47 -1.78
H -0.834234 -3.261950 4.736845 1.12 1.07 -1.44
H 0.963622 -2.939010 4.420839 -1.88 0.25 -0.69
H -0.056783 -4.543799 2.705157 -0.28 2.00 -0.18
H -1.206386 -3.277465 2.012451 1.81 0.00 1.02
H 0.515056 -2.435589 0.632812 1.18 -0.51 1.68
H 1.832426 -2.294074 2.012846 -1.21 -1.07 -0.69
H 2.246167 -4.848117 1.770649 -0.98 0.70 -1.47
H 0.815541 -5.107443 0.626164 1.22 1.58 0.33
H 3.703681 -3.756257 0.060673 -2.01 -0.23 -0.76
H 2.852160 -5.147664 -0.801420 -0.31 1.79 0.87
H 2.137803 -2.079340 -1.167398 -0.35 -1.55 -0.78
H 0.994741 -3.460069 -1.822469 1.59 0.47 0.85
H 3.337052 -4.568520 -2.870207 -0.76 1.92 0.21
H 2.417850 -3.248468 -3.792148 1.19 -0.04 1.54
H 5.001498 -2.877884 -3.743278 -0.94 0.47 1.73
H 5.102723 -2.910429 -1.895133 -1.54 0.53 -1.36
H 3.320329 -0.607314 -2.204127 1.42 -0.76 -0.83
H 5.175422 -0.514479 -2.406883 -1.70 -0.70 -0.83
H 2.860452 -0.207002 -4.545879 1.90 -0.46 0.36
H 4.188154 -1.359055 -5.125684 -0.15 1.53 1.25